Reality star Paris Hilton was at the California State Capitol on Monday backing a bill that demands transparency for youth treatment facilities after her personal traumatic experience at one.

“Today, I stand before you not just as Paris Hilton, but as an advocate and survivor of the troubled teen industry,” Hilton said.

Hilton was sent to a youth treatment facility in Utah when she was 17 years old and said what she faced was abuse disguised as therapy.

“If I tried to tell my parents about the abuse, the staff would immediately rip the phone from my hand, disconnect the call and I’d be subject to violent physical restraints and solitary confinement,” Hilton said.

Paris Hilton speaks at California Capitol to advocate for changes to "troubled teen" facilities - CBS Sacramento

-- The page is interrupted by data records --
┌──
No. 1
Computed, not measured: InP after structural relaxation at the PBE-GGA level of DFT.

Calculated values
Formation enthalpy at 0 K (kJ/mol of formula units): -30
SG: No. 136
Crystal system: tetragonal

POSCAR file:
```
InP
1.0
7.2632 0.0000 0.0000
0.0000 7.2632 0.0000
0.0000 0.0000 4.2104
In P
4 4
Direct
0.1781 0.1781 0.0000
0.3219 0.6781 0.5000
0.6781 0.3219 0.5000
0.8219 0.8219 0.0000
0.1806 0.8194 0.0000
0.3194 0.3194 0.5000
0.6806 0.6806 0.5000
0.8194 0.1806 0.0000
```



No. 2
Computed, not measured: BaSiSb2 after structural relaxation at the PBE-GGA level of DFT.

Calculated values
Density of states at the Fermi level (states/eV/atom): 0.424
Formation energy (no corrections) (kJ/mol of atoms): -26.0
SG: No. 6
Crystal system: monoclinic

POSCAR file:
```
BaSiSb2
1.0
5.3023 0.0000 0.0000
0.0000 4.1242 0.0000
-2.6314 0.0000 6.3560
Ba Si Sb
1 1 2
Direct
0.0000 0.0000 0.0000
0.5944 0.5000 0.1884
0.3951 0.5000 0.7894
0.7143 0.0000 0.4354
```



No. 3
Computed, not measured: BHOsN2 after structural relaxation at the PBE-GGA level of DFT.

Calculated values
Density of states at the Fermi level (states/eV/atom): 0.446
DFT total energy (Ry/atom): -0.41662
SG: No. 123
Crystal system: tetragonal

POSCAR file:
```
BHOsN2
1.0
3.7378 0.0000 0.0000
0.0000 3.7378 0.0000
0.0000 0.0000 2.6322
B H Os N
1 1 1 2
Direct
0.0000 0.0000 0.0000
0.0000 0.0000 0.5000
0.5000 0.5000 0.0000
0.0000 0.5000 0.5000
0.5000 0.0000 0.5000
```



No. 4
Computed, not measured: CdSbP after structural relaxation at the PBE-GGA level of DFT.

Calculated values
Density of states at the Fermi level (states/eV/atom): 0.250
Formation energy (no corrections) (kJ/mol of atoms): 7.8
Distance to the lowest polymorph of the same formula (meV per atom): 92.8
SG: No. 8
Crystal system: monoclinic

POSCAR file:
```
CdSbP
1.0
8.1212 0.0000 0.0000
0.0000 3.7821 0.0000
-0.2983 0.0000 4.9247
Cd Sb P
2 2 2
Direct
0.0000 0.0000 0.0000
0.5000 0.5000 0.0000
0.2226 0.5000 0.6174
0.7226 0.0000 0.6174
0.2817 0.0000 0.2765
0.7817 0.5000 0.2765
```



No. 5
Computed, not measured: Bi2AsAu after structural relaxation at the PBE-GGA level of DFT.

Calculated values
Density of states at the Fermi level (states/eV/atom): 0.497
Formation enthalpy at 0 K (kJ/mol of formula units): 1
SG: No. 166
Crystal system: trigonal

POSCAR file:
```
Bi2AsAu
1.0
4.1390 0.0000 0.0000
-2.0695 3.5845 0.0000
0.0000 0.0000 21.6156
Bi As Au
6 3 3
Direct
0.0000 0.0000 0.2489
0.0000 0.0000 0.7511
0.3333 0.6667 0.4177
0.3333 0.6667 0.9156
0.6667 0.3333 0.0844
0.6667 0.3333 0.5823
0.0000 0.0000 0.0000
0.3333 0.6667 0.6667
0.6667 0.3333 0.3333
0.0000 0.0000 0.5000
0.3333 0.6667 0.1667
0.6667 0.3333 0.8333
```



No. 6
Computed, not measured: CdSnCl2 after structural relaxation at the PBE-GGA level of DFT.

Calculated values
Density of states at the Fermi level (states/eV/atom): 0.000
Formation energy (no corrections) (kJ/mol of atoms): -45.7
Distance to the lowest polymorph of the same formula (meV per atom): 66.0
SG: No. 122
└──

In 2021, a bill banned California from sending youth out of state for treatment. Now, lawmakers from both sides want transparency for the state-licensed facilities that are under the Department of Social Services.

Bipartisan Senate Bill 1043 demands more transparency from Short Term Residential Therapeutic Programs (STRTPs) licensed through California.

“The bottom line is it doesn’t matter who you are, what color your skin is, how much money you do or don’t have that trauma still exists,” said Senator Shannon Grove (R-Bakersfield).

Grove said SB 1043 will require the Department of Social Services to create a public dashboard that will keep track of all the restraints and seclusion treatments its facilities use on children. It will require the agency to report the reason and duration of the treatment, as well as a debrief that will include how many children are injured or killed while in restraints or seclusion.

The hotel heiress shed tears as she pushed for this to pass in the Golden State.

Paris Hilton backs California bill to bring more transparency to youth treatment facilities - New West Record

“At 13, I was sent to a residential facility where I was restrained within the first 36 hours of arriving, all for not eating a pad of butter,” said Zoe Scriber, who is a survivor of the troubled teen industry.

Entry 1:
Density functional theory data (PBE) for crystalline KZr2In at its relaxed geometry.

Output
Formation energy from the elements   0.38 eV/atom
Symmetry   Cmmm
Total magnetization   0.00 μB per formula unit
Total energy   -4.852 eV/atom

abc: 3.149 3.149 12.108
angles: 90.00 90.00 114.27
Positions (direct):
K: 0.000 0.000 0.000
Zr: 0.500 0.500 0.290
Zr: 0.500 0.500 0.710
In: 0.000 0.000 0.500


Entry 2:
Density functional theory data (PBE) for crystalline KZr2In at its relaxed geometry.

Output
Formation energy from the elements   0.60 eV/atom
Symmetry   Cmmm
Total magnetization   0.00 μB per formula unit
Total energy   -4.632 eV/atom

abc: 6.276 6.276 2.987
angles: 90.00 90.00 117.42
Positions (direct):
K: 0.000 0.000 0.000
Zr: 0.000 0.500 0.500
Zr: 0.500 0.000 0.500
In: 0.500 0.500 0.000


Entry 3:
Density functional theory data (PBE) for crystalline KZrIn3 at its relaxed geometry.

Output
Formation energy from the elements   1.27 eV/atom
Symmetry   Pm-3m
Total magnetization   0.00 μB per formula unit
Total energy   -2.303 eV/atom
Offset from the most stable computed form   1.051 eV/atom

abc: 5.516 5.516 5.516
angles: 90.00 90.00 90.00
Positions (direct):
K: 0.000 0.000 0.000
Zr: 0.500 0.500 0.500
In: 0.000 0.000 0.500
In: 0.000 0.500 0.000
In: 0.500 0.000 0.000


36
Lattice="6.915 0.000 0.000 0.000 7.526 -0.004 0.000 0.798 9.677" Properties=species:S:1:pos:R:3 comment="PBEsol BaP2O6, optimized geometry" raw_formation_energy_ev_per_atom=-2.536 total_energy_ev_per_atom=-7.561 pbc="T T T"
Ba 6.240 1.228 1.712
Ba 4.132 5.390 6.548
Ba 2.783 2.934 3.125
Ba 0.675 7.096 7.961
P 6.167 4.919 3.258
P 5.498 1.434 5.589
P 2.709 6.769 1.574
P 1.417 6.890 4.083
P 2.041 3.525 8.924
P 4.874 4.799 0.749
P 4.206 1.554 8.099
P 0.748 3.405 6.415
O 5.384 5.836 9.045
O 6.714 4.541 6.617
O 3.480 2.837 8.723
O 0.022 2.122 5.790
O 5.812 5.600 1.799
O 4.560 2.235 6.639
O 6.892 6.201 3.883
O 1.256 0.771 3.586
O 1.927 6.650 5.464
O 1.102 2.724 7.874
O 1.531 2.488 0.628
O 1.423 6.970 0.828
O 4.988 1.674 4.209
O 5.658 7.553 6.086
O 3.256 7.944 7.892
O 2.034 3.606 5.668
O 4.880 4.718 4.005
O 2.355 6.088 3.033
O 3.659 0.380 1.780
O 3.435 5.487 0.949
O 5.492 1.353 8.845
O 4.714 3.391 1.250
O 0.201 3.782 3.056
O 2.201 4.933 8.423

5
Lattice="-3.429 -0.887 -2.288 -2.323 -2.429 4.422 -2.248 4.856 1.487" Properties=species:S:1:pos:R:3 comment="PBEsol BaP2PdO, optimized geometry" raw_formation_energy_ev_per_atom=1.257 total_energy_ev_per_atom=-3.731 pbc="T T T"
O -1.714 -0.443 -1.144
P -1.124 2.428 0.743
P -1.161 -1.215 2.211
Ba 0.000 0.000 0.000
Pd -4.000 0.770 1.810

28
Lattice="-4.766 -2.768 1.518 -0.530 -3.020 -7.171 5.508 -7.885 2.913" Properties=species:S:1:pos:R:3 comment="PBEsol RbBaPO4, optimized geometry" raw_formation_energy_ev_per_atom=-2.664 total_energy_ev_per_atom=-6.944 pbc="T T T"
Ba 2.985 -8.581 -0.895
Ba -2.411 -7.500 -5.100
Ba -2.773 -5.092 -1.846
Ba 2.623 -6.173 2.359
O -3.659 -4.982 -4.426
O 1.532 -7.233 -2.997
O 3.870 -8.691 1.685
So much for the crystal structures:

Scriber also shared her testimony from when she was at Cedar Ridge Academy in Roosevelt, Utah before it was closed down and purchased by Makana Academy.

“For five hours in the pouring rain, six adults held down my small body face down in a mud puddle,” Scriber said.

Scriber said the seclusion, hard labor, and humiliation by staff while she was in the facility were hidden from the adults in her life, and she feared retaliation if she spoke out.

“I was stripped of my dignity, autonomy and any hope that the staff were there to help or protect me,” Scriber said. “Nearly 15% of my cohort are no longer with us due to suicides and intentional overdoses.”

Paris Hilton backs California bill to bring more transparency to youth treatment facilities

There was a hearing on the bill in the capitol on Monday, and it passed. Lawmakers like Grove said it has faced no pushback, and she was confident it was a bipartisan policy.

A public dashboard is required to be up and running by January 1, 2026.

“I want children who are experiencing this now and who have experienced this in the past to know that I believe them, and I will continue shining a spotlight on this and fighting for this,” Hilton said.

The star is now shining the spotlight on what she calls secrecy behind the closed doors of California’s troubled teen industry.

# Calculated crystals from another source follow
/*
## NbAlPt2 (PBE-GGA)

Data for NbAlPt2 after structural relaxation.

Properties
As for the formation energy: -0.824 eV per atom. The calculation puts the calculated volume at 15.54 Å³ per atom. The value obtained for the calculated total energy is -7.30 eV/atom.

a b c (Å): 2.8869 2.8869 7.4607
angles (deg): 90.00 90.00 90.00
Atoms (fractional coordinates):
Pt: 0.0000 0.0000 0.7763
Nb: 0.5000 0.5000 0.5000
Al: 0.5000 0.5000 0.0000
Pt: 0.0000 0.0000 0.2237

## Sm6Dy3Ho (PBE-GGA)

Data for Sm6Dy3Ho after structural relaxation.

Properties
As for the formation energy: 0.126 eV per atom. The calculation puts the calculated volume at 33.18 Å³ per atom. The energy above the most stable polymorph in this dataset is 0 meV per atom. The value obtained for the calculated total energy is -4.54 eV/atom.

a b c (Å): 6.4054 11.6828 11.6828
angles (deg): 130.63 90.00 90.00
Atoms (fractional coordinates):
Dy: 0.9899 0.0418 0.2939
Sm: 0.0687 0.3795 0.2589
Dy: 0.4899 0.9582 0.7061
Sm: 0.8244 0.8943 0.4560
Sm: 0.3244 0.4560 0.8943
Dy: 0.4899 0.2939 0.0418
Sm: 0.5687 0.2589 0.3795
Dy: 0.0898 0.4199 0.5801
Sm: 0.7945 0.3007 0.6993
Dy: 0.9899 0.7061 0.9582
Ho: 0.5157 0.8410 0.1590
Sm: 0.8244 0.5440 0.1057
Sm: 0.5687 0.6205 0.7411
Ho: 0.0157 0.1590 0.8410
Sm: 0.3194 0.9841 0.0159
Sm: 0.8194 0.0159 0.9841
Sm: 0.2945 0.6993 0.3007
Sm: 0.0687 0.7411 0.6205
Dy: 0.5898 0.5801 0.4199
Sm: 0.3244 0.1057 0.5440

## Zn5B2Pd12 (PBE-GGA)

Data for Zn5B2Pd12 after structural relaxation.

Properties
As for the formation energy: -0.303 eV per atom. The calculation puts the calculated volume at 14.64 Å³ per atom. The value obtained for the calculated total energy is -4.62 eV/atom.

a b c (Å): 5.6143 8.6722 7.1165
angles (deg): 120.05 90.00 108.89
Atoms (fractional coordinates):
Pd: 0.0328 0.0657 0.2131
Pd: 0.5949 0.7009 0.8773
Pd: 0.4925 0.9849 0.2653
Pd: 0.4065 0.2956 0.6312
Zn: 0.2439 0.4879 0.4948
Pd: 0.9672 0.9343 0.7869
Pd: 0.1109 0.7044 0.3688
Pd: 0.5075 0.0151 0.7347
Pd: 0.5935 0.7044 0.3688
B: 0.6785 0.0000 0.0000
Pd: 0.8940 0.2991 0.1227
Pd: 0.4051 0.2991 0.1227
Zn: 0.7532 0.5065 0.0060
Zn: 0.2468 0.4935 0.9940
Pd: 0.1060 0.7009 0.8773
Zn: 0.7561 0.5121 0.5052
Pd: 0.8891 0.2956 0.6312
Zn: 0.0000 0.0000 0.5000
B: 0.3215 0.0000 0.0000
*/
# The calculated crystals stop here

“If these facilities are scared of a simple transparency measure, then I think we should ask them what do they have to hide?” Hilton said.

The Department of Social Services said it does not comment on pending legislation but provided this statement for CBS13:

In recent years, California has made transformative changes to the way the state cares for foster youth. The Department previously published an issue brief which underscored the success of the Continuum of Care Reform (CCR). California’s move from nontherapeutic congregate facilities to more family-based and therapeutic settings had an immediate, positive impact on outcomes for youth. And while Short-Term Residential Therapeutic Programs (STRTPs), which provide specialized care, supervision, and treatment to foster youth, fill a necessary role in California’s foster care system, data shows that outcomes for youth improve when these stays are brief and centered around fostering ongoing connection to family.

Hilton said her work over the past three years has successfully changed legislation in eight states and led to arrests of abusers abroad.

She was inspired to speak out about her own traumas while working on her documentary “This is Paris” in 2019. Hilton said advocating for troubled teens has allowed her to slowly heal from what she faced.